PYMNTS Intelligence and Ingo Payments ad promoting the Money Mobility Tracker report. Click to read.

Wendy’s Adds Flavor To Ghost Kitchen Movement

Ghost Kitchens

The concept of “ghost kitchens” – dining establishments that only offer food on delivery, with no eat-in option – is not an invention of the COVID-19 pandemic. They’ve long been whispered about as a potential dining segment disruptor when partnered with the boom in food delivery services over the last several years.

But as the last eight or so months have made increasingly obvious, the post-pandemic dining landscape is a very different place. As PYMNTS data show, consumers are increasingly digitizing their dining habits.

According to the latest edition of the PYMNTS/Paytronix Order to Eat Tracker, consumers’ use of digital channels to order their meals has skyrocketed since closures officially started shutting down in-person dining in March. Delivery services, on the whole, have grown 20 percent over the past five years, and online food delivery revenue is projected to hit $24 billion by 2023.

Consumers have rewritten and relocated the restaurant dining experience from the tableside to the internet, creating something of a perfect storm of conditions for an explosion of ghost kitchen experiments, care of the inventiveness that comes with necessity. Minneapolis restaurant owner Luke Shimp converted the kitchen of his Red Cow Uptown restaurant to the Kenwood Food and Beverage, a virtual food hall that he opened about a month ago.

“My idea was [to] make a virtual food hall, where it has multiple brands inside, but … you order it online. And it’s all for delivery or takeout,” Shimp said of the new concept to local media. “We took this opportunity to create some new concepts and have them on hand, in case we lose additional seating in the future with the pandemic. If we have to scale back to 25 percent or takeout only, we’d be able to keep filling [orders] with these ghost kitchen concepts.”

The ghost kitchen has also allowed Shimp to bring back 270 of the 400 workers he was forced to furlough in early March due to the shutdowns.

But ghost kitchens are also coming into fashion with larger brands looking to tap the low-overhead, higher-margin business opportunity they represent. Wendy’s, for example, recently opened a ghost kitchen location in partnership with Reef Kitchens in Toronto.

“Our urban business in Canada is underpenetrated,” Stephen Piacentini, Wendy’s vice president of global restaurant development and recruiting, said in an interview. “This helps us creatively get into spots [where] we didn’t have near-term plans with brick and mortar.”

And ghost kitchens, reports indicated, are expanding their presence at all levels of dining. In Phoenix, Japanese fine-dining restaurant Shimogamo was looking for ways to go digital, and settled into the ghost kitchen model as a means of expanding operations without the cost of building a second location, operator Mika Otomo told Restaurant Business.

“I was just seeing this ceiling in expanding and growing further,” Otomo said. “I just wanted to explore the different opportunities out there. The ghost kitchen presented an opportunity at the lowest initial cost.”

-- Records of crystals from another source follow --
1.
Below is an optimized crystal structure of KZrTlBi2, with properties calculated at the PBE-GGA level.

POSCAR file:
```
KZrTlBi2
1.0
5.747 0.000 0.000
0.000 5.747 0.000
0.000 0.000 5.796
Bi Zr Tl K
2 1 1 1
Direct
0.000 0.500 0.000 Bi
0.500 0.000 0.000 Bi
0.000 0.000 0.000 Zr
0.000 0.000 0.500 Tl
0.500 0.500 0.500 K
```

Results
- ΔH_f (0 K) (eV per atom) = -0.10
- D(E_F) (states/eV/cell) = 4.197

=====

2.
Below is an optimized crystal structure of ZnGe2C, with properties calculated at the PBE-GGA level.

POSCAR file:
```
ZnGe2C
1.0
5.417 0.000 0.000
0.000 5.417 0.000
2.708 2.708 4.655
Zn Ge C
2 4 2
Direct
0.000 0.000 0.000 Zn
0.750 0.250 0.500 Zn
0.875 0.805 0.750 Ge
0.195 0.625 0.250 Ge
0.375 0.445 0.750 Ge
0.555 0.125 0.250 Ge
0.500 0.500 0.000 C
0.250 0.750 0.500 C
```

Results
- ΔE to the lowest computed polymorph (kJ/mol of formula units) = 0
- ΔH_f (0 K) (eV per atom) = 0.58
- D(E_F) (states/eV/cell) = 0.747

=====

3.
Below is an optimized crystal structure of HfNbH2, with properties calculated at the PBE-GGA level.

POSCAR file:
```
HfNbH2
1.0
0.000 2.829 2.829
2.829 0.000 2.829
2.829 2.829 0.000
Nb H Hf
1 2 1
Direct
0.000 0.000 0.000 Nb
0.750 0.750 0.750 H
0.250 0.250 0.250 H
0.500 0.500 0.500 Hf
```

Results
- ΔE to the lowest computed polymorph (kJ/mol of formula units) = 222
- D(E_F) (states/eV/cell) = 1.052

=====

4.
Below is an optimized crystal structure of SmAlZn4, with properties calculated at the PBE-GGA level.

POSCAR file:
```
SmAlZn4
1.0
-3.321 0.509 -2.765
1.127 -6.078 -2.473
-3.340 -3.390 6.810
Sm Zn Al
2 8 2
Direct
0.382 0.750 0.764 Sm
0.618 0.250 0.236 Sm
0.240 0.425 0.479 Zn
0.432 0.250 0.864 Zn
0.760 0.925 0.521 Zn
0.240 0.075 0.479 Zn
0.760 0.575 0.521 Zn
0.000 0.500 0.000 Zn
0.568 0.750 0.136 Zn
0.000 0.000 0.000 Zn
0.157 0.750 0.315 Al
0.843 0.250 0.685 Al
```

Results
- ΔE to the lowest computed polymorph (kJ/mol of formula units) = 11
- ΔH_f (0 K) (eV per atom) = -0.10
- D(E_F) (states/eV/cell) = 5.050

=====

5.
Below is an optimized crystal structure of RbMgHg2Se, with properties calculated at the PBE-GGA level.

POSCAR file:
```
RbMgHg2Se
1.0
-0.186 2.366 5.121
-3.790 -3.848 1.640
3.865 -3.130 1.586
Rb Hg Se Mg
1 2 1 1
Direct
0.500 0.500 0.500 Rb
0.500 0.000 0.000 Hg
0.000 0.500 0.000 Hg
0.000 0.000 0.500 Se
0.000 0.000 0.000 Mg
```

Results
- E_form (uncorrected) (kJ/mol of atoms) = -42.05
- D(E_F) (states/eV/cell) = 3.047

=====

6.
Below is an optimized crystal structure of LiPd2Pt, with properties calculated at the PBE-GGA level.

POSCAR file:
```
LiPd2Pt
1.0
-1.340 -1.508 1.930
3.752 -2.654 0.532
1.548 2.849 3.300
Li Pt Pd
1 1 2
Direct
0.500 0.500 0.500 Li
0.500 0.000 0.000 Pt
0.000 0.500 0.000 Pd
0.000 0.000 0.500 Pd
```

Results
- ΔE to the lowest computed polymorph (kJ/mol of formula units) = 23
- ΔH_f (0 K) (eV per atom) = -0.31
- D(E_F) (states/eV/cell) = 3.808

=====

7.
Below is an optimized crystal structure of Ge4Pd2Pt, with properties calculated at the PBE-GGA level.

POSCAR file:
```

Shimogamo’s collaboration with the ghost kitchen firm Kitchens United in December turned out to be very successful. The pandemic had shut down its dining room, Otomo noted, but its ghost kitchen business grew by 400 percent. She believes the business would have survived the pandemic without the expansion, but it would have been “much harder.”

It seems ghost kitchens have hit their stride in an environment where digital dining options are incredibly appealing to consumers. But can it last?

Will Ghost Kitchens Go the Distance?

While 2020 has been a big year for ghost kitchens, some critics have likened their success to a “house of cards” likely to topple in 2021. For all of their upside, some believe ghost kitchens require the rarefied environment of 2020 to survive, as consumers’ preference for digital dining is likely to decrease somewhat in an environment where dining out becomes an option again.

Indeed, PYMNTS/PayPal’s consumer shopping habits survey indicated that while many of the digital switches consumers have made in the last several months seem likely to stick post-pandemic, restaurants were unique in that dining out was the only activity that consumers seem more eager to do in person now than they did in March. The share of those who plan to go back to their former dining-out habits increased by 3 percent between April and September. Consumers have learned to love the new normal in many ways – but when it comes to eating, there is apparently always something to be said for having someone else cook, serve and clean up the entire meal.

Which means when it comes to the rise of ghost kitchens on the back of the great digital dining explosion, it’s still something of a wait-and-see when it comes to how much of the model will go the distance in a post-pandemic world.

PYMNTS Intelligence and Ingo Payments ad promoting the Money Mobility Tracker report. Click to read.